To do:
Your job: print only the lines below with the word "Au" in them.
Material:
'''
[1]
Theoretical X-ray powder pattern of PrBiSO2 for Cu Kα, 1.54184 Å, from a GGA-PBE-relaxed structure.
Peak positions follow from Bragg's law for the DFT cell and can differ from measured ones.

Principal peaks in the range 2θ from 15° to 90°, in order of rising 2θ:
- 25.86°, I = 22.3
- 26.09°, I = 22.8
- 29.03°, I = 100.0
- 37.07°, I = 30.1
- 45.61°, I = 30.1
- 47.89°, I = 26.1
- 53.30°, I = 20.4
- 54.98°, I = 17.6
- 61.95°, I = 7.7
- 68.28°, I = 9.0
- 74.13°, I = 15.0
- 86.01°, I = 10.0

Crystal structure
```
PrBiSO2
1.0
3.978 0.000 0.000
-1.989 3.445 0.000
0.000 0.000 6.831
Pr Bi S O
1 1 1 2
Cartesian
0.000 0.000 0.000
1.989 1.148 3.037
0.000 2.297 4.934
0.000 0.000 2.395
1.989 1.148 0.651
```

***

[2]
Theoretical X-ray powder pattern of KHoGeS3 for Cu Kα, 1.54184 Å, from a GGA-PBE-relaxed structure.
Peak positions follow from Bragg's law for the DFT cell and can differ from measured ones.

Principal peaks in the range 2θ from 15° to 90°, in order of rising 2θ:
- 24.05°, I = 23.4
- 24.50°, I = 20.8
- 26.32°, I = 30.4
- 28.25°, I = 67.9
- 28.92°, I = 18.8
- 32.54°, I = 100.0
- 33.51°, I = 48.1
- 37.26°, I = 31.6
- 40.38°, I = 28.9
- 46.68°, I = 32.8
- 47.17°, I = 34.3
- 47.64°, I = 24.3

Crystal structure
```
KHoGeS3
1.0
8.199 0.000 0.000
0.000 3.891 0.000
-3.354 0.000 10.157
K Ho Ge S
2 2 2 6
Cartesian
0.968 0.973 2.738
3.877 2.918 7.419
0.128 2.918 8.594
4.717 0.973 1.563
-0.768 0.973 5.702
5.613 2.918 4.455
-1.696 0.973 7.858
0.806 2.918 5.922
2.902 2.918 1.073
1.944 0.973 9.084
4.039 0.973 4.235
6.541 2.918 2.300
```

----------

Theoretical XRD peak list
Compound: LaDy2Co
Radiation: Cu Kα, 1.54184 Å
Structure: DFT lattice parameters and positions (GGA-PBE)
Peak positions follow from Bragg's law for the DFT cell and can differ from measured ones.

Largest 10 diffraction maxima, in order of rising 2θ, 2θ from 15° to 90°:
Position (°2θ)  I/Imax
26.95  15
29.19  19
31.42  100
32.80  23
34.12  37
37.86  38
48.47  16
53.19  20
58.48  16
59.88  20

Atomic structure:
a b c (Å): 3.676 9.658 6.387
angles (deg): 90.00 106.65 90.00
Atoms (fractional coordinates):
La 0.088 0.250 0.176
La 0.912 0.750 0.824
Dy 0.356 0.075 0.712
Dy 0.356 0.425 0.712
Dy 0.644 0.575 0.288
Dy 0.644 0.925 0.288
Co 0.248 0.750 0.496
Co 0.752 0.250 0.504

=====

Theoretical XRD peak list
Compound: Zn6IrAu
Radiation: Cu Kα, 1.54184 Å
Structure: DFT lattice parameters and positions (GGA-PBE)
Peak positions follow from Bragg's law for the DFT cell and can differ from measured ones.

Largest 10 diffraction maxima, in order of rising 2θ, 2θ from 15° to 90°:
Position (°2θ)  I/Imax
22.76  37
22.87  19
32.49  38
39.94  100
40.12  97
46.48  63
46.71  31
68.04  47
81.61  23
82.00  32

Atomic structure:
a b c (Å): 6.742 6.742 11.088
angles (deg): 90.00 90.00 109.54
Atoms (fractional coordinates):
Zn 0.000 0.000 0.000
Zn 0.000 0.000 0.500
Zn 0.112 0.367 0.121
Zn 0.112 0.367 0.879
Zn 0.113 0.360 0.370
Zn 0.113 0.360 0.630
Zn 0.249 0.751 0.242
Zn 0.249 0.751 0.758
Zn 0.360 0.113 0.370
Zn 0.360 0.113 0.630
Zn 0.367 0.112 0.121
Zn 0.367 0.112 0.879
Zn 0.500 0.500 0.000
Zn 0.500 0.500 0.500
Zn 0.633 0.888 0.121
Zn 0.633 0.888 0.879
Zn 0.640 0.887 0.370
Zn 0.640 0.887 0.630
Zn 0.751 0.249 0.242
Zn 0.751 0.249 0.758
Zn 0.887 0.640 0.370
Zn 0.887 0.640 0.630
Zn 0.888 0.633 0.121
Zn 0.888 0.633 0.879
Ir 0.000 0.000 0.243
Ir 0.000 0.000 0.757
Ir 0.265 0.735 0.000
Ir 0.735 0.265 0.000
Au 0.262 0.738 0.500
Au 0.500 0.500 0.248
Au 0.500 0.500 0.752
Au 0.738 0.262 0.500

=====

Theoretical XRD peak list
Compound: La5AlSi2O13
Radiation: Cu Kα, 1.54184 Å
Structure: DFT lattice parameters and positions (GGA-PBE)
Peak positions follow from Bragg's law for the DFT cell and can differ from measured ones.

Largest 10 diffraction maxima, in order of rising 2θ, 2θ from 15° to 90°:
Position (°2θ)  I/Imax
20.88  33
21.85  26
26.71  43
27.74  32
30.41  100
30.63  64
31.52  24
44.53  24
47.00  33
49.65  21

Atomic structure:
a b c (Å): 9.810 7.259 9.814
angles (deg): 90.00 119.79 90.00
'''
Reply:
Au 0.262 0.738 0.500
Au 0.500 0.500 0.248
Au 0.500 0.500 0.752
Au 0.738 0.262 0.500